**Given**
+++
PBE Na3Be3B3P6O25, relaxed; formation energy = -106.8 eV per formula unit; size of the total moment = 8.00 μB per cell; energy = -1124.21 eV/cell
1.0
12.5651 0.0000 0.0000
0.0000 12.5651 0.0000
0.0000 0.0000 12.5651
Na Be B P O
12 12 12 24 100
Direct
0.0914 0.0914 0.0914
0.1247 0.6247 0.8753
0.1594 0.8406 0.3406
0.3406 0.1594 0.8406
0.3753 0.3753 0.3753
0.4086 0.9086 0.5914
0.5914 0.4086 0.9086
0.6247 0.8753 0.1247
0.6594 0.6594 0.6594
0.8406 0.3406 0.1594
0.8753 0.1247 0.6247
0.9086 0.5914 0.4086
0.0650 0.1255 0.8149
0.1255 0.8149 0.0650
0.1851 0.5650 0.3745
0.3149 0.4350 0.8745
0.3745 0.1851 0.5650
0.4350 0.8745 0.3149
0.5650 0.3745 0.1851
0.6255 0.6851 0.9350
0.6851 0.9350 0.6255
0.8149 0.0650 0.1255
0.8745 0.3149 0.4350
0.9350 0.6255 0.6851
0.1138 0.8751 0.6366
0.1249 0.1366 0.3862
0.1366 0.3862 0.1249
0.3634 0.6138 0.6249
0.3751 0.8634 0.8862
0.3862 0.1249 0.1366
0.6138 0.6249 0.3634
0.6249 0.3634 0.6138
0.6366 0.1138 0.8751
0.8634 0.8862 0.3751
0.8751 0.6366 0.1138
0.8862 0.3751 0.8634
0.0882 0.6055 0.1605
0.0890 0.3554 0.3380
0.1055 0.3395 0.9118
0.1446 0.6620 0.5890
0.1605 0.0882 0.6055
0.1620 0.9110 0.8554
0.3380 0.0890 0.3554
0.3395 0.9118 0.1055
0.3554 0.3380 0.0890
0.3945 0.6605 0.4118
0.4110 0.6446 0.8380
0.4118 0.3945 0.6605
0.5882 0.8945 0.8395
0.5890 0.1446 0.6620
0.6055 0.1605 0.0882
0.6446 0.8380 0.4110
0.6605 0.4118 0.3945
0.6620 0.5890 0.1446
0.8380 0.4110 0.6446
0.8395 0.5882 0.8945
0.8554 0.1620 0.9110
0.8945 0.8395 0.5882
0.9110 0.8554 0.1620
0.9118 0.1055 0.3395
0.9997 0.3949 0.8800
0.0003 0.8949 0.6200
0.0211 0.8767 0.1150
0.0358 0.1006 0.3184
0.0608 0.6349 0.6712
0.0692 0.3490 0.2138
0.0775 0.1154 0.6888
0.1006 0.3184 0.0358
0.1051 0.1200 0.4997
0.1150 0.0211 0.8767
0.1154 0.6888 0.0775
0.1200 0.4997 0.1051
0.1233 0.6150 0.4789
0.1260 0.3740 0.6260
0.1271 0.2301 0.8633
0.1287 0.8551 0.7502
0.1349 0.8288 0.9392
0.1367 0.6271 0.2699
0.1449 0.2502 0.3713
0.1510 0.7862 0.5692
0.1712 0.4392 0.3651
0.1816 0.9642 0.6006
0.1888 0.4225 0.8846
0.2138 0.0692 0.3490
0.2301 0.8633 0.1271
0.2502 0.3713 0.1449
0.2498 0.6287 0.6449
0.2699 0.1367 0.6271
0.2862 0.9308 0.8490
0.3112 0.5775 0.3846
0.3184 0.0358 0.1006
0.3288 0.5608 0.8651
0.3490 0.2138 0.0692
0.3551 0.7498 0.8713
0.3633 0.3729 0.7699
0.3651 0.1712 0.4392
0.3713 0.1449 0.2502
0.3729 0.7699 0.3633
0.3740 0.6260 0.1260
0.3767 0.3850 0.9789
0.3800 0.5003 0.6051
0.3846 0.3112 0.5775
0.3850 0.9789 0.3767
0.3949 0.8800 0.9997
0.3994 0.6816 0.5358
0.4225 0.8846 0.1888
0.4308 0.6510 0.7138
0.4392 0.3651 0.1712
0.4642 0.8994 0.8184
0.4789 0.1233 0.6150
0.4997 0.1051 0.1200
0.5003 0.6051 0.3800
0.5211 0.6233 0.8850
0.5358 0.3994 0.6816
0.5608 0.8651 0.3288
0.5692 0.1510 0.7862
0.5775 0.3846 0.3112
0.6006 0.1816 0.9642
0.6051 0.3800 0.5003
0.6150 0.4789 0.1233
0.6154 0.8112 0.9225
0.6200 0.0003 0.8949
0.6233 0.8850 0.5211
0.6260 0.1260 0.3740
0.6271 0.2699 0.1367
0.6287 0.6449 0.2498
0.6349 0.6712 0.0608
0.6367 0.8729 0.7301
0.6449 0.2498 0.6287
0.6510 0.7138 0.4308
0.6712 0.0608 0.6349
0.6816 0.5358 0.3994
0.6888 0.0775 0.1154
0.7138 0.4308 0.6510
0.7301 0.6367 0.8729
0.7502 0.1287 0.8551
0.7498 0.8713 0.3551
0.7699 0.3633 0.3729
0.7862 0.5692 0.1510
0.8112 0.9225 0.6154
0.8184 0.4642 0.8994
0.8288 0.9392 0.1349
0.8490 0.2862 0.9308
0.8551 0.7502 0.1287
0.8633 0.1271 0.2301
0.8651 0.3288 0.5608
0.8713 0.3551 0.7498
0.8729 0.7301 0.6367
0.8740 0.8740 0.8740
0.8767 0.1150 0.0211
0.8800 0.9997 0.3949
0.8846 0.1888 0.4225
0.8850 0.5211 0.6233
0.8949 0.6200 0.0003
0.8994 0.8184 0.4642
0.9225 0.6154 0.8112
0.9308 0.8490 0.2862
0.9392 0.1349 0.8288
0.9642 0.6006 0.1816
0.9789 0.3767 0.3850


PBE Be2BO5, relaxed; formation energy = -16.8 eV per formula unit; size of the total moment = 3.00 μB per cell; energy = -52.30 eV/cell
1.0
3.9039 -2.2165 0.0000
3.9039 2.2165 0.0000
-0.4038 0.0000 4.8680
Be B O
2 1 5
Direct
0.1729 0.1729 0.1005
0.8271 0.8271 0.8995
0.4990 0.5010 0.0000
0.1885 0.8115 0.0000
0.2021 0.1820 0.4409
0.5003 0.1940 0.0037
0.8060 0.4997 0.9963
+++

**To do**
Filter the entries earlier on: keep the lines with the word "formation", please.

**Written answer**
PBE Na3Be3B3P6O25, relaxed; formation energy = -106.8 eV per formula unit; size of the total moment = 8.00 μB per cell; energy = -1124.21 eV/cell
PBE Be2BO5, relaxed; formation energy = -16.8 eV per formula unit; size of the total moment = 3.00 μB per cell; energy = -52.30 eV/cell